== Input ==
'''
# CaRe

A relaxed CaRe crystal (GGA-PBE, the Alexandria database).

Cell: 5.640 5.640 6.079 Å, 90.00 90.00 73.07°
Fractional positions:
Ca: 0.187 0.226 0.250
Ca: 0.226 0.187 0.750
Ca: 0.774 0.813 0.250
Ca: 0.813 0.774 0.750
Re: 0.329 0.671 0.048
Re: 0.329 0.671 0.452
Re: 0.671 0.329 0.548
Re: 0.671 0.329 0.952

Calculated values
- Calculated density: 8.1 g cm⁻³
- Raw total energy: -6.636 eV/atom
- Size of the total moment: 0.000 μB per atom
- E_form: 1.2 eV/f.u.
- SG: Cmcm (63)

# CsCuSi2

A relaxed CsCuSi2 crystal (GGA-PBE, the Alexandria database).

Cell: 5.820 3.851 8.876 Å, 90.00 90.00 90.00°
Fractional positions:
Cs: 0.250 0.000 0.150
Cs: 0.750 0.000 0.850
Cu: 0.000 0.500 0.500
Cu: 0.500 0.500 0.500
Si: 0.250 0.000 0.560
Si: 0.250 0.500 0.727
Si: 0.750 0.000 0.440
Si: 0.750 0.500 0.273

Calculated values
- Calculated density: 4.2 g cm⁻³
- Formation energy from raw total energies: 0.0491 eV/atom
- Raw total energy: -3.900 eV/atom
- Size of the total moment: 0.000 μB per atom
- SG: Pmma (51)

# LiTbSmZn

A relaxed LiTbSmZn crystal (GGA-PBE, the Alexandria database).

Cell: 3.667 3.667 7.404 Å, 90.00 90.00 90.00°
Fractional positions:
Li: 0.000 0.000 0.000
Tb: 0.500 0.500 0.262
Sm: 0.500 0.500 0.728
Zn: 0.000 0.000 0.488

Calculated values
- Calculated density: 6.4 g cm⁻³
- Raw total energy: -3.255 eV/atom
- Size of the total moment: 0.001 μB per atom
- E_form: -0.5 eV/f.u.
- SG: P4mm (99)

# FeHgS3

A relaxed FeHgS3 crystal (GGA-PBE, the Alexandria database).

Cell: 4.553 4.553 4.553 Å, 90.00 90.00 90.00°
Fractional positions:
Fe: 0.000 0.000 0.000
Hg: 0.500 0.500 0.500
S: 0.000 0.000 0.500
S: 0.000 0.500 0.000
S: 0.500 0.000 0.000

Calculated values
- Calculated density: 6.2 g cm⁻³
- Formation energy from raw total energies: 0.3204 eV/atom
- Raw total energy: -3.909 eV/atom
- Size of the total moment: 0.675 μB per atom
- SG: Pm-3m (221)

# KLiScF5

A relaxed KLiScF5 crystal (GGA-PBE, the Alexandria database).

Cell: 6.027 6.027 7.863 Å, 103.79 103.79 107.06°
Fractional positions:
K: 0.165 0.835 0.750
K: 0.835 0.165 0.250
Li: 0.186 0.814 0.250
Li: 0.814 0.186 0.750
Sc: 0.500 0.500 0.000
Sc: 0.500 0.500 0.500
F: 0.144 0.268 0.907
F: 0.218 0.606 0.400
F: 0.268 0.144 0.407
F: 0.394 0.782 0.100
F: 0.439 0.561 0.750
F: 0.561 0.439 0.250
F: 0.606 0.218 0.900
F: 0.732 0.856 0.593
F: 0.782 0.394 0.600
F: 0.856 0.732 0.093

Calculated values
- Calculated density: 2.5 g cm⁻³
- Formation energy from raw total energies: -3.4697 eV/atom
- Raw total energy: -5.807 eV/atom
- Size of the total moment: 0.013 μB per atom
- SG: C2/c (15)

# Pm6Dy2ErTm3

A relaxed Pm6Dy2ErTm3 crystal (GGA-PBE, the Alexandria database).

Cell: 6.215 6.215 11.751 Å, 95.04 95.04 119.98°
Fractional positions:
Pm: 0.084 0.417 0.751
Pm: 0.249 0.249 0.249
Pm: 0.417 0.084 0.751
Pm: 0.583 0.916 0.249
Pm: 0.751 0.751 0.751
Pm: 0.916 0.583 0.249
Dy: 0.333 0.667 0.500
Dy: 0.667 0.333 0.500
Er: 0.000 0.000 0.500
Tm: 0.167 0.833 0.000
Tm: 0.500 0.500 0.000
Tm: 0.833 0.167 0.000

Calculated values
- Calculated density: 8.0 g cm⁻³
- Raw total energy: -4.626 eV/atom
- Size of the total moment: 0.000 μB per atom
- E_form: 0.2 eV/f.u.
- SG: C2/m (12)

# CoTcPS2

A relaxed CoTcPS2 crystal (GGA-PBE, the Alexandria database).

Cell: 4.386 4.386 4.219 Å, 90.00 90.00 90.00°
Fractional positions:
Co: 0.000 0.000 0.000
Tc: 0.500 0.500 0.500
P: 0.000 0.000 0.500
S: 0.000 0.500 0.000
S: 0.500 0.000 0.000

Calculated values
- Calculated density: 5.2 g cm⁻³
- Formation energy from raw total energies: 0.7855 eV/atom
- Raw total energy: -5.442 eV/atom
- Size of the total moment: 0.387 μB per atom
- SG: P4/mmm (123)

# InAgSn3

A relaxed InAgSn3 crystal (GGA-PBE, the Alexandria database).

Cell: 6.744 6.744 14.155 Å, 110.09 110.09 62.87°
Fractional positions:
In: 0.015 0.744 0.644
In: 0.256 0.985 0.856
In: 0.744 0.015 0.144
In: 0.985 0.256 0.356
Ag: 0.000 0.000 0.000
Ag: 0.000 0.000 0.500
Ag: 0.497 0.503 0.750
Ag: 0.503 0.497 0.250
Sn: 0.051 0.681 0.295
Sn: 0.214 0.328 0.067
'''

== What to do ==
Now retype the whole of the data earlier on exactly.

== Written answer ==
# CaRe

A relaxed CaRe crystal (GGA-PBE, the Alexandria database).

Cell: 5.640 5.640 6.079 Å, 90.00 90.00 73.07°
Fractional positions:
Ca: 0.187 0.226 0.250
Ca: 0.226 0.187 0.750
Ca: 0.774 0.813 0.250
Ca: 0.813 0.774 0.750
Re: 0.329 0.671 0.048
Re: 0.329 0.671 0.452
Re: 0.671 0.329 0.548
Re: 0.671 0.329 0.952

Calculated values
- Calculated density: 8.1 g cm⁻³
- Raw total energy: -6.636 eV/atom
- Size of the total moment: 0.000 μB per atom
- E_form: 1.2 eV/f.u.
- SG: Cmcm (63)

# CsCuSi2

A relaxed CsCuSi2 crystal (GGA-PBE, the Alexandria database).

Cell: 5.820 3.851 8.876 Å, 90.00 90.00 90.00°
Fractional positions:
Cs: 0.250 0.000 0.150
Cs: 0.750 0.000 0.850
Cu: 0.000 0.500 0.500
Cu: 0.500 0.500 0.500
Si: 0.250 0.000 0.560
Si: 0.250 0.500 0.727
Si: 0.750 0.000 0.440
Si: 0.750 0.500 0.273

Calculated values
- Calculated density: 4.2 g cm⁻³
- Formation energy from raw total energies: 0.0491 eV/atom
- Raw total energy: -3.900 eV/atom
- Size of the total moment: 0.000 μB per atom
- SG: Pmma (51)

# LiTbSmZn

A relaxed LiTbSmZn crystal (GGA-PBE, the Alexandria database).

Cell: 3.667 3.667 7.404 Å, 90.00 90.00 90.00°
Fractional positions:
Li: 0.000 0.000 0.000
Tb: 0.500 0.500 0.262
Sm: 0.500 0.500 0.728
Zn: 0.000 0.000 0.488

Calculated values
- Calculated density: 6.4 g cm⁻³
- Raw total energy: -3.255 eV/atom
- Size of the total moment: 0.001 μB per atom
- E_form: -0.5 eV/f.u.
- SG: P4mm (99)

# FeHgS3

A relaxed FeHgS3 crystal (GGA-PBE, the Alexandria database).

Cell: 4.553 4.553 4.553 Å, 90.00 90.00 90.00°
Fractional positions:
Fe: 0.000 0.000 0.000
Hg: 0.500 0.500 0.500
S: 0.000 0.000 0.500
S: 0.000 0.500 0.000
S: 0.500 0.000 0.000

Calculated values
- Calculated density: 6.2 g cm⁻³
- Formation energy from raw total energies: 0.3204 eV/atom
- Raw total energy: -3.909 eV/atom
- Size of the total moment: 0.675 μB per atom
- SG: Pm-3m (221)

# KLiScF5

A relaxed KLiScF5 crystal (GGA-PBE, the Alexandria database).

Cell: 6.027 6.027 7.863 Å, 103.79 103.79 107.06°
Fractional positions:
K: 0.165 0.835 0.750
K: 0.835 0.165 0.250
Li: 0.186 0.814 0.250
Li: 0.814 0.186 0.750
Sc: 0.500 0.500 0.000
Sc: 0.500 0.500 0.500
F: 0.144 0.268 0.907
F: 0.218 0.606 0.400
F: 0.268 0.144 0.407
F: 0.394 0.782 0.100
F: 0.439 0.561 0.750
F: 0.561 0.439 0.250
F: 0.606 0.218 0.900
F: 0.732 0.856 0.593
F: 0.782 0.394 0.600
F: 0.856 0.732 0.093

Calculated values
- Calculated density: 2.5 g cm⁻³
- Formation energy from raw total energies: -3.4697 eV/atom
- Raw total energy: -5.807 eV/atom
- Size of the total moment: 0.013 μB per atom
- SG: C2/c (15)

# Pm6Dy2ErTm3

A relaxed Pm6Dy2ErTm3 crystal (GGA-PBE, the Alexandria database).

Cell: 6.215 6.215 11.751 Å, 95.04 95.04 119.98°
Fractional positions:
Pm: 0.084 0.417 0.751
Pm: 0.249 0.249 0.249
Pm: 0.417 0.084 0.751
Pm: 0.583 0.916 0.249
Pm: 0.751 0.751 0.751
Pm: 0.916 0.583 0.249
Dy: 0.333 0.667 0.500
Dy: 0.667 0.333 0.500
Er: 0.000 0.000 0.500
Tm: 0.167 0.833 0.000
Tm: 0.500 0.500 0.000
Tm: 0.833 0.167 0.000

Calculated values
- Calculated density: 8.0 g cm⁻³
- Raw total energy: -4.626 eV/atom
- Size of the total moment: 0.000 μB per atom
- E_form: 0.2 eV/f.u.
- SG: C2/m (12)

# CoTcPS2

A relaxed CoTcPS2 crystal (GGA-PBE, the Alexandria database).

Cell: 4.386 4.386 4.219 Å, 90.00 90.00 90.00°
Fractional positions:
Co: 0.000 0.000 0.000
Tc: 0.500 0.500 0.500
P: 0.000 0.000 0.500
S: 0.000 0.500 0.000
S: 0.500 0.000 0.000

Calculated values
- Calculated density: 5.2 g cm⁻³
- Formation energy from raw total energies: 0.7855 eV/atom
- Raw total energy: -5.442 eV/atom
- Size of the total moment: 0.387 μB per atom
- SG: P4/mmm (123)

# InAgSn3

A relaxed InAgSn3 crystal (GGA-PBE, the Alexandria database).

Cell: 6.744 6.744 14.155 Å, 110.09 110.09 62.87°
Fractional positions:
In: 0.015 0.744 0.644
In: 0.256 0.985 0.856
In: 0.744 0.015 0.144
In: 0.985 0.256 0.356
Ag: 0.000 0.000 0.000
Ag: 0.000 0.000 0.500
Ag: 0.497 0.503 0.750
Ag: 0.503 0.497 0.250
Sn: 0.051 0.681 0.295
Sn: 0.214 0.328 0.067